Monday, June 1, 2009

The Beauty and The Prick

One of my best friends, D.S., is this beautiful, amazing, kick-ass, intelligent and fascinating woman (and if I sound like a girl with a crush here, bear with me, I love the chick) and yet she still manages to get dicked over by a guy who's so blatantly not worth it that it boggles the mind.
What pisses me (and our other friends back in B'bay) off is that we should've SEEN it somehow…instinctively just known that he was an idiot. Where was my cynicism? Where was N.M.'s go-slow-approach? Where was A.H.'s caution and sixth sense? But no, when we met him, we were ALL taken in by the niceness, the goofy sense of humour, the effort (endearing) to get on our good side because D.S. is important to us, and we're important to her, no negotiations there. One of our own had found love, found someone who could be an extenstion to our group, instead of taking her away from us. So we tried, and he tried, and we all got along and cue the Disney happy-ever-after music, yes? No. After 3 years of togetherness and overcoming parental objections and age differences and insurmountable odds and discussions of marriage, it goes like this: The Prick ends it with a phone call, announces his engagement to someone else on facebook, and D.S. is…actually, D.S. is being stronger than I would ever have thought possible.

I think this post is going to be in honour of D.S. actually - I don’t think I talk enough about my friends, just blather on about myself. But I love showing off about D.S. When she got a 730 on her GMAT and got into one of the best B-Schools in the world, I couldn’t wait to tell EVERYONE…I'm so proud of her! She's lost over 20 kgs of weight over the past few years through sheer determination and (in my lazy-ass opinion) an unhealthy commitment to the gym; as a result she looks sensational in the black wrap dress I saw her in last weekend. She's topped most of the exams she's ever written, or at least cleared them with flying colours (and I always wondered what that meant. What do colours flying have to do with exam marks?). She's witty and incisive and funny and snarky and has men drooling like puppy dogs at her stiletto-heeled feet. And, as I said before, she's incredibly, unbelievably strong.

This is a woman who was there for me when I went through a hideously bad break-up. She cried for me because I couldn't (or didn't know how to, or wouldn't give the guy the satisfaction of seeing me) cry. She went out partying with me pretty much every night of the week if I wanted to (because loud music meant neither she nor I would think about how me breaking up with my boyfriend irrationally led to her losing one of her good friends too). She let me hold her hand in a death-grip when I saw my ex with another woman, basically confirming everything I'd worried/feared/grown paranoid about for 3 years (makes me wonder if 3 is some sort of ill omen…I know of waaaaaay too many relationships going kaput at the 3-year mark. Actually, thanks to her, H.T., N.M. and A.H., I think I managed to get through the whole post-break-up period relatively unscathed and have turned out as normal as I am right now (which most people will testify isn’t much!) Coincidentally, H.T., N.M. and A.H. were there for her too after The Prick ended things with her. We love you guys, have we ever said that?) This is a woman who polished off an entire saucepan of rasperry-jello-and-apple-vodka (we were trying to make jello shots, but there were no ice trays) with me while we watched 'The Grudge' at A.H.'s place in Pune, and then fell about laughing with me 'cuz I wouldn't go to the bathroom alone. Hell, she's put up with my vampire and Coke addiction for 8 years now, and that drives most people insane!

I'm rambling….I tend to do that when I feel strongly about something. What I'm trying to say is this: I need her to read this and know, know with absolute certainty, that there are people who love her, and there will be people who will see her for how truly sensational she is. People so far better than The Prick that it will boggle her mind, because she will wonder at the 3 years she absolutely wasted on him when there was something so much better out there. And until then, if she insists on being too big a person to hate The Prick....

'''
LiTaNbAg2O6, optimized geometry, DFT PBE; ΔH_f (0 K) = -2.13 eV/atom; MP2020-corrected energy = -7.51 eV/atom; total magnetization = 0.00 Bohr magnetons per cell; volume = 136 Å³ per cell; E above lowest polymorph = 1.0 meV per atom; energy = -7.139 eV per atom
1.0
2.046 -3.508 0.391
-3.348 -2.068 -1.075
2.248 0.438 -7.843
Li Ta Nb Ag O
1 1 1 2 6
Cartesian
0.562 0.109 -1.961
1.035 -2.460 -6.225
-0.089 -2.679 -2.303
2.128 0.414 -7.423
1.245 0.242 -4.342
1.585 -1.645 -1.765
2.709 -1.426 -5.687
1.589 -2.352 -8.157
0.481 -2.568 -4.292
-1.112 -0.924 -2.498
'''

...I'll do it for her.

1 comment:

chitgo said...

wow strong post...hugs babe.